### Material
-- begin --
[1]
Starting from DFT lattice parameters and positions (GGA-PBE), the powder XRD pattern of La3Pr4Dy4 was calculated for copper Kα.
Intensities are scaled so that the largest is 100.

Cell and atoms:
Lattice parameters (Å, degrees): 22.7225 9.5913 3.6624 90.00 99.25 90.00
Space group C2/m (No. 12)
One atom of each set of equivalent atoms:
La 0.0000 0.0000 0.0000 [2 per cell]
La 0.1089 0.5000 0.1084 [4 per cell]
Pr 0.1470 0.1785 0.6460 [8 per cell]
Dy 0.0000 0.3188 0.5000 [4 per cell]
Dy 0.2414 0.5000 0.7426 [4 per cell]

Principal peaks in the range 2θ = 10–80°, by angle:
2θ = 30.38°, 2.942 Å, rel. 90, hkl 3 3 0
2θ = 30.61°, 2.921 Å, rel. 100, hkl 3 1 1
2θ = 30.98°, 2.886 Å, rel. 50, hkl 0 2 1
2θ = 31.92°, 2.803 Å, rel. 29, hkl 8 0 0
2θ = 41.94°, 2.154 Å, rel. 27, hkl 8 2 -1
2θ = 56.04°, 1.641 Å, rel. 31, hkl 9 3 1
2θ = 56.60°, 1.626 Å, rel. 29, hkl 3 5 1
2θ = 59.45°, 1.555 Å, rel. 27, hkl 5 3 -2

[2]
Starting from DFT lattice parameters and positions (GGA-PBE), the powder XRD pattern of Rb2CrNiSe4 was calculated for copper Kα.
Intensities are scaled so that the largest is 100.

Cell and atoms:
Lattice parameters (Å, degrees): 5.4743 14.0348 24.5318 90.00 90.00 90.00
Space group Fddd (No. 70, origin choice 2)
One atom of each set of equivalent atoms:
Rb 0.1250 0.1250 0.3038 [16 per cell]
Cr 0.1250 0.1250 0.1250 [8 per cell]
Ni 0.1250 0.1250 0.6250 [8 per cell]
Se 0.1155 0.2812 0.4288 [32 per cell]

Principal peaks in the range 2θ = 10–80°, by angle:
2θ = 14.49°, 6.112 Å, rel. 54, hkl 0 0 4
2θ = 25.21°, 3.533 Å, rel. 32, hkl 0 2 6
2θ = 27.35°, 3.261 Å, rel. 100, hkl 1 3 3
2θ = 29.12°, 3.066 Å, rel. 23, hkl 0 0 8
2θ = 31.05°, 2.880 Å, rel. 72, hkl 1 3 5
2θ = 39.62°, 2.275 Å, rel. 31, hkl 2 0 6
2θ = 51.38°, 1.778 Å, rel. 29, hkl 2 6 0
2θ = 55.14°, 1.666 Å, rel. 23, hkl 3 3 3

[3]
Starting from DFT lattice parameters and positions (GGA-PBE), the powder XRD pattern of Nb3Cr3N was calculated for copper Kα.
Intensities are scaled so that the largest is 100.

Cell and atoms:
Lattice parameters (Å, degrees): 11.5050 11.5050 11.5050 90.00 90.00 90.00
Space group Fd-3m (No. 227, origin choice 2)
One atom of each set of equivalent atoms:
Nb 0.0681 0.3750 0.3750 [48 per cell]
Cr 0.0000 0.0000 0.5000 [16 per cell]
Cr 0.0468 0.0468 0.7032 [32 per cell]
N 0.0000 0.0000 0.0000 [16 per cell]

Principal peaks in the range 2θ = 10–80°, by angle:
2θ = 33.96°, 2.639 Å, rel. 20, hkl 3 3 1
2θ = 38.33°, 2.348 Å, rel. 46, hkl 4 2 2
2θ = 40.75°, 2.214 Å, rel. 100, hkl 3 3 3
2θ = 44.55°, 2.034 Å, rel. 29, hkl 4 4 0
2θ = 57.18°, 1.611 Å, rel. 10, hkl 5 5 1
2θ = 66.53°, 1.406 Å, rel. 10, hkl 7 3 3
2θ = 69.30°, 1.356 Å, rel. 41, hkl 6 6 0
2θ = 70.94°, 1.328 Å, rel. 9, hkl 5 5 5

[4]
Starting from DFT lattice parameters and positions (GGA-PBE), the powder XRD pattern of CePuH was calculated for copper Kα.
Intensities are scaled so that the largest is 100.

Cell and atoms:
Lattice parameters (Å, degrees): 7.6828 3.7796 7.0366 90.00 103.44 90.00
Space group P2_1/c (No. 14)
One atom of each set of equivalent atoms:
Ce 0.1928 0.2491 0.4231 [4 per cell]
Pu 0.4102 0.5304 0.7275 [4 per cell]
H 0.1342 0.7323 0.1597 [4 per cell]

Principal peaks in the range 2θ = 10–80°, by angle:
2θ = 11.84°, 7.472 Å, rel. 100, hkl 1 0 0
2θ = 26.02°, 3.425 Å, rel. 33, hkl 0 0 2
2θ = 31.07°, 2.879 Å, rel. 43, hkl 2 0 -2
2θ = 31.17°, 2.869 Å, rel. 42, hkl 1 0 2
2θ = 34.12°, 2.628 Å, rel. 29, hkl 2 1 -1
2θ = 38.31°, 2.349 Å, rel. 28, hkl 2 1 1
2θ = 53.55°, 1.711 Å, rel. 25, hkl 3 1 -3
2θ = 55.54°, 1.655 Å, rel. 34, hkl 1 2 -2

[5]
Starting from DFT lattice parameters and positions (GGA-PBE), the powder XRD pattern of Rb2CdSi2S6 was calculated for copper Kα.
Intensities are scaled so that the largest is 100.

Cell and atoms:
Lattice parameters (Å, degrees): 7.0185 7.0185 22.9337 90.00 90.00 120.00
Space group R-3m (No. 166, hexagonal axes)
One atom of each set of equivalent atoms:
Rb 0.0000 0.0000 0.2187 [6 per cell]
Cd 0.0000 0.0000 0.0000 [3 per cell]
-- stop --
### Job
Next, transcribe the material further up from the first line to the one with "[5]" without altering anything.
### Result
[1]
Starting from DFT lattice parameters and positions (GGA-PBE), the powder XRD pattern of La3Pr4Dy4 was calculated for copper Kα.
Intensities are scaled so that the largest is 100.

Cell and atoms:
Lattice parameters (Å, degrees): 22.7225 9.5913 3.6624 90.00 99.25 90.00
Space group C2/m (No. 12)
One atom of each set of equivalent atoms:
La 0.0000 0.0000 0.0000 [2 per cell]
La 0.1089 0.5000 0.1084 [4 per cell]
Pr 0.1470 0.1785 0.6460 [8 per cell]
Dy 0.0000 0.3188 0.5000 [4 per cell]
Dy 0.2414 0.5000 0.7426 [4 per cell]

Principal peaks in the range 2θ = 10–80°, by angle:
2θ = 30.38°, 2.942 Å, rel. 90, hkl 3 3 0
2θ = 30.61°, 2.921 Å, rel. 100, hkl 3 1 1
2θ = 30.98°, 2.886 Å, rel. 50, hkl 0 2 1
2θ = 31.92°, 2.803 Å, rel. 29, hkl 8 0 0
2θ = 41.94°, 2.154 Å, rel. 27, hkl 8 2 -1
2θ = 56.04°, 1.641 Å, rel. 31, hkl 9 3 1
2θ = 56.60°, 1.626 Å, rel. 29, hkl 3 5 1
2θ = 59.45°, 1.555 Å, rel. 27, hkl 5 3 -2

[2]
Starting from DFT lattice parameters and positions (GGA-PBE), the powder XRD pattern of Rb2CrNiSe4 was calculated for copper Kα.
Intensities are scaled so that the largest is 100.

Cell and atoms:
Lattice parameters (Å, degrees): 5.4743 14.0348 24.5318 90.00 90.00 90.00
Space group Fddd (No. 70, origin choice 2)
One atom of each set of equivalent atoms:
Rb 0.1250 0.1250 0.3038 [16 per cell]
Cr 0.1250 0.1250 0.1250 [8 per cell]
Ni 0.1250 0.1250 0.6250 [8 per cell]
Se 0.1155 0.2812 0.4288 [32 per cell]

Principal peaks in the range 2θ = 10–80°, by angle:
2θ = 14.49°, 6.112 Å, rel. 54, hkl 0 0 4
2θ = 25.21°, 3.533 Å, rel. 32, hkl 0 2 6
2θ = 27.35°, 3.261 Å, rel. 100, hkl 1 3 3
2θ = 29.12°, 3.066 Å, rel. 23, hkl 0 0 8
2θ = 31.05°, 2.880 Å, rel. 72, hkl 1 3 5
2θ = 39.62°, 2.275 Å, rel. 31, hkl 2 0 6
2θ = 51.38°, 1.778 Å, rel. 29, hkl 2 6 0
2θ = 55.14°, 1.666 Å, rel. 23, hkl 3 3 3

[3]
Starting from DFT lattice parameters and positions (GGA-PBE), the powder XRD pattern of Nb3Cr3N was calculated for copper Kα.
Intensities are scaled so that the largest is 100.

Cell and atoms:
Lattice parameters (Å, degrees): 11.5050 11.5050 11.5050 90.00 90.00 90.00
Space group Fd-3m (No. 227, origin choice 2)
One atom of each set of equivalent atoms:
Nb 0.0681 0.3750 0.3750 [48 per cell]
Cr 0.0000 0.0000 0.5000 [16 per cell]
Cr 0.0468 0.0468 0.7032 [32 per cell]
N 0.0000 0.0000 0.0000 [16 per cell]

Principal peaks in the range 2θ = 10–80°, by angle:
2θ = 33.96°, 2.639 Å, rel. 20, hkl 3 3 1
2θ = 38.33°, 2.348 Å, rel. 46, hkl 4 2 2
2θ = 40.75°, 2.214 Å, rel. 100, hkl 3 3 3
2θ = 44.55°, 2.034 Å, rel. 29, hkl 4 4 0
2θ = 57.18°, 1.611 Å, rel. 10, hkl 5 5 1
2θ = 66.53°, 1.406 Å, rel. 10, hkl 7 3 3
2θ = 69.30°, 1.356 Å, rel. 41, hkl 6 6 0
2θ = 70.94°, 1.328 Å, rel. 9, hkl 5 5 5

[4]
Starting from DFT lattice parameters and positions (GGA-PBE), the powder XRD pattern of CePuH was calculated for copper Kα.
Intensities are scaled so that the largest is 100.

Cell and atoms:
Lattice parameters (Å, degrees): 7.6828 3.7796 7.0366 90.00 103.44 90.00
Space group P2_1/c (No. 14)
One atom of each set of equivalent atoms:
Ce 0.1928 0.2491 0.4231 [4 per cell]
Pu 0.4102 0.5304 0.7275 [4 per cell]
H 0.1342 0.7323 0.1597 [4 per cell]

Principal peaks in the range 2θ = 10–80°, by angle:
2θ = 11.84°, 7.472 Å, rel. 100, hkl 1 0 0
2θ = 26.02°, 3.425 Å, rel. 33, hkl 0 0 2
2θ = 31.07°, 2.879 Å, rel. 43, hkl 2 0 -2
2θ = 31.17°, 2.869 Å, rel. 42, hkl 1 0 2
2θ = 34.12°, 2.628 Å, rel. 29, hkl 2 1 -1
2θ = 38.31°, 2.349 Å, rel. 28, hkl 2 1 1
2θ = 53.55°, 1.711 Å, rel. 25, hkl 3 1 -3
2θ = 55.54°, 1.655 Å, rel. 34, hkl 1 2 -2

[5]